Symbolism Of Snake In The Epic Of Gilgamesh

Posted By admin On 18/06/18
The Epic Of Gilgamesh SummaryMoral Of Gilgamesh

# The text is interrupted by molecular data
- - -
Below is a cluster of 2 separate species, C13H16N6O6 in total at a distorted geometry, with properties calculated with the ωB97M-V functional and the def2-TZVPD basis.

Values from the calculation:
LUMO level in hartree: -0.0915
Calculated total energy in eV: -34956.8590
SMILES string: O=[N+]([O-])c1cc([N+](=O)[O-])c2nonc2c1.CN(C)C(=O)[C@@H]1CCCN1
Kohn-Sham gap in eV: 6.226
Total charge: 0

Element x y z (Å)
O (0.94622, -2.84885, -1.54640)
N (0.02751, -2.00363, -1.68189)
O (-0.02022, -1.21592, -2.65799)
C (-0.98282, -1.90399, -0.65685)
C (-0.90537, -2.75083, 0.47896)
C (-1.82972, -2.64444, 1.51517)
N (-1.74697, -3.53015, 2.65655)
O (-2.59927, -3.47577, 3.56762)
O (-0.78680, -4.33262, 2.67140)
C (-2.83092, -1.59102, 1.41794)
N (-3.73363, -1.17850, 2.33448)
O (-4.30712, -0.05169, 1.77683)
N (-3.74025, 0.30033, 0.53611)
C (-2.84970, -0.70953, 0.29769)
C (-1.89151, -0.82221, -0.74204)
H (-0.10864, -3.49354, 0.55918)
H (-1.92975, -0.12075, -1.58123)
C (3.04193, -1.09492, 0.56591)
N (2.35319, -0.15300, -0.27749)
C (3.11961, 0.33031, -1.41480)
C (1.18781, 0.37140, 0.17491)
O (0.67815, 0.04031, 1.24865)
C (0.49818, 1.40627, -0.74990)
C (1.18258, 2.80466, -0.77226)
C (0.11251, 3.78374, -0.26270)
C (-1.20810, 2.99249, -0.25141)
N (-0.85250, 1.60475, -0.40761)
H (2.33740, -1.51311, 1.28908)
H (3.45096, -1.88832, -0.06565)
H (3.87492, -0.61019, 1.09662)
H (2.48242, 0.83089, -2.16095)
H (3.91611, 1.02645, -1.09398)
H (3.60037, -0.53601, -1.88761)
H (0.50335, 0.95842, -1.76079)
H (2.08937, 2.83404, -0.14939)
H (1.46998, 3.02605, -1.80952)
H (0.34767, 4.05583, 0.76835)
H (0.06166, 4.69469, -0.85996)
H (-1.76561, 3.14356, 0.67782)
H (-1.86237, 3.29073, -1.08275)
H (-1.33062, 0.97408, 0.23988)

Mulliken atomic charge list, values in e, 5 entries: number 1, O, carries -0.605; number 2, N, carries 1.130; number 3, O, carries -0.634; number 4, C, carries -0.106; number 5, C, carries -0.414

***

Below is the molecule C13H16O2 at a distorted geometry, with properties calculated with the ωB97M-V functional and the def2-TZVPD basis.

Values from the calculation:
LUMO level in hartree: 0.0290
Calculated total energy in eV: -17833.0251
SMILES string: C/C=C/[C@@H]1C[C@H](O)c2cc(C)ccc2O1
Kohn-Sham gap in eV: 8.710
Total charge: 0

Element x y z (Å)
C (-1.49806, -4.50426, -2.57465)
C (-1.03772, -3.63096, -1.35436)
C (-0.78082, -2.27962, -1.62731)
C (0.12491, -1.31984, -0.82432)
C (-0.16481, -1.52899, 0.64981)
C (0.72166, -0.50339, 1.41503)
O (0.53109, -0.62289, 2.79751)
C (0.68484, 0.89047, 0.78893)
C (0.92174, 1.99522, 1.55178)
C (0.69362, 3.36620, 1.04065)
C (0.86614, 4.54356, 1.79849)
C (0.13788, 3.50447, -0.23473)
C (-0.01269, 2.39445, -1.05524)
C (0.25290, 1.05930, -0.54921)
O (-0.03939, -0.00569, -1.36490)
H (-1.19501, -5.60055, -2.29183)
H (-2.56756, -4.45842, -2.78019)
H (-1.04428, -4.37166, -3.50963)
H (-1.01805, -4.12097, -0.33921)
H (-0.81729, -1.96306, -2.68590)
H (1.19097, -1.58896, -0.97238)
H (-1.24130, -1.23418, 0.84287)
H (0.05770, -2.45450, 1.10879)
- - -

For Adam and Eve the serpent in the Garden of Eden represented the. In the Mesopotamian Gilgamesh epic we read that it. The Gilgamesh snake doesn't speak and. Dec 11, 2011 Gilgamesh: what is the symbolism of the flower? What is the symbolism of the flower? It explains how the snake, who stole it from Gilgamesh. Death and the new life that comes fron it_____Well, really, there is nothing to suggest that the snake symbolizes anything. Start studying Epic of Gilgamesh Test. In the epic it says, 'he [Gilgamesh]. Explain the symbolism of the flower and the snake.

Logic Ultrabeat Electronic Drum Kits more. Utnapishtim, the survivor of the flood that almost wiped out humankind, tells his story. Once upon a time, he says, he was king of Shuruppak, a beautiful, prosperous city on the banks of the Euphrates. Then the gods met in secret council—Anu, the god of the firmament; Ninurta, the god of war and wells; Enlil, the god of earth, wind, and air; Ennugi, the god of irrigation; and Ea, the cleverest of the gods, the god of wisdom and crafts.

Enlil ordered a flood to destroy humankind. Ea had been sworn to secrecy, but he cleverly betrayed the gods’ plans to Utnapishtim. Five Major Windows 9x Specific Files. Speaking to the walls of his house, he described the plans, while Utnapishtim heard everything on the other side of the walls. Ea warned him that the gods would be sending a terrible flood.

He told him to build a boat of immense dimensions, ten dozen cubits in height (approximately 180 feet) with six decks and one acre of floor space, and load it up with the seed of each living thing and with his family and possessions. When Utnapishtim asked what he would tell the people of Shuruppak, who would have to help him build it, Ea suggested an artful lie. Tell them, he said, that you are leaving the city because Enlil hates you. Tell them that when you leave, the city will be showered with good fortune, that all manner of bread and wheat will rain down upon it, and that they will have more fish to eat than they can imagine. So Utnapishtim butchered bulls and sheep for the workers and gave them rivers of beer and wine to drink. It was like a festival. In seven days the boat was ready.

With great difficulty, they launched it in the Euphrates. After Puzuramurri the caulker had sealed them inside, Utnapishtim gave him his house and everything in it. When the storm came, the gods clambered up as high as they could go and cringed in terror. Ishtar wept to see her children being destroyed. Eventually, the boat ran aground on a mountain peak.

After seven days, Utnapishtim released a dove. Ben Liebrand Grandmix Summer Edition. When it couldn’t find a dry place to alight, it returned to the boat. Utnapishtim released a swallow. It too returned. Then he released a raven, and it never came back. Upon reaching shore, Utnapishtim prepared a sacrifice.

The gods of heaven were famished and gathered around the altar. Ishtar came down wearing a necklace of lapis lazuli made of beads shaped like flies. She said she would forget neither her necklace nor this calamity—nor would she forgive Enlil, since the flood was his idea and he never discussed it with the other gods. When Enlil arrived to partake of the sacrifice, he saw the boat and lost his temper.